Weathering the Storm by Brynn Paulin




Chapter Fifteen

~ Heller ~

-- What comes next are materials data, not part of the entry --
Diffraction record for Tl8HgBi3. The X-ray diffraction stick pattern is calculated, not measured: it uses DFT lattice parameters and positions (PBE) and Cu Ka.

The 10 most intense peaks (2θ from 10° to 90°), by angle:
2θ = 20.0°, rel. 18; 2θ = 20.3°, rel. 21; 2θ = 23.3°, rel. 19; 2θ = 32.8°, rel. 26; 2θ = 33.2°, rel. 100; 2θ = 33.6°, rel. 24; 2θ = 47.7°, rel. 19; 2θ = 58.8°, rel. 20; 2θ = 59.8°, rel. 19; 2θ = 69.8°, rel. 12

Cell and atoms:
a b c (Å): 9.3744 9.3011 7.6360
angles (deg): 66.37 65.36 48.27
Positions (direct):
Tl 0.1208 0.6308 0.8792
Tl 0.1258 0.6339 0.3661
Tl 0.3661 0.8742 0.1258
Tl 0.3692 0.8792 0.6308
Tl 0.6308 0.1208 0.3692
Tl 0.6339 0.1258 0.8742
Tl 0.8742 0.3661 0.6339
Tl 0.8792 0.3692 0.1208
Hg 0.0000 0.0000 0.0000
Bi 0.2500 0.2500 0.2500
Bi 0.5000 0.5000 0.5000
Bi 0.7500 0.7500 0.7500



Diffraction record for Ac4Pu6O19. The X-ray diffraction stick pattern is calculated, not measured: it uses DFT lattice parameters and positions (PBE) and Cu Ka.

The 10 most intense peaks (2θ from 10° to 90°), by angle:
2θ = 21.7°, rel. 49; 2θ = 28.2°, rel. 100; 2θ = 30.9°, rel. 22; 2θ = 33.5°, rel. 63; 2θ = 44.3°, rel. 20; 2θ = 46.2°, rel. 43; 2θ = 49.8°, rel. 20; 2θ = 55.0°, rel. 27; 2θ = 56.6°, rel. 18; 2θ = 62.9°, rel. 20

Cell and atoms:
a b c (Å): 8.6785 8.6785 8.6785
angles (deg): 109.47 109.47 109.47
Positions (direct):
Ac 0.0000 0.0000 0.7029
Ac 0.0000 0.7029 0.0000
Ac 0.2971 0.2971 0.2971
Ac 0.7029 0.0000 0.0000
Pu 0.1698 0.6698 0.5000
Pu 0.3302 0.5000 0.8302
Pu 0.5000 0.1698 0.6698
Pu 0.5000 0.8302 0.3302
Pu 0.6698 0.5000 0.1698
Pu 0.8302 0.3302 0.5000
O 0.0000 0.0000 0.0000
O 0.0000 0.3576 0.3576
O 0.0000 0.6424 0.6424
O 0.0313 0.2846 0.6814
O 0.2533 0.9687 0.6501
O 0.2846 0.6814 0.0313
O 0.3186 0.6032 0.3499
O 0.3499 0.3186 0.6032
O 0.3576 0.0000 0.3576
O 0.3576 0.3576 0.0000
O 0.3968 0.7154 0.7467
O 0.6032 0.3499 0.3186
O 0.6424 0.0000 0.6424
O 0.6424 0.6424 0.0000
O 0.6501 0.2533 0.9687
O 0.6814 0.0313 0.2846
O 0.7154 0.7467 0.3968
O 0.7467 0.3968 0.7154
O 0.9687 0.6501 0.2533



Diffraction record for Te2Au. The X-ray diffraction stick pattern is calculated, not measured: it uses DFT lattice parameters and positions (PBE) and Cu Ka.

The 10 most intense peaks (2θ from 10° to 90°), by angle:
2θ = 29.0°, rel. 100; 2θ = 30.0°, rel. 42; 2θ = 40.0°, rel. 16; 2θ = 42.2°, rel. 61; 2θ = 42.9°, rel. 19; 2θ = 50.8°, rel. 14; 2θ = 53.2°, rel. 17; 2θ = 60.1°, rel. 13; 2θ = 68.6°, rel. 12; 2θ = 78.1°, rel. 10

Cell and atoms:
a b c (Å): 16.8663 8.9291 4.5043
angles (deg): 90.00 90.00 90.00
Positions (direct):
Te 0.0062 0.1962 0.3898
Te 0.1196 0.4697 0.9346
Te 0.1296 0.8590 0.0000
Te 0.2500 0.1238 0.5890
Te 0.2500 0.5190 0.5047
Te 0.3704 0.8590 0.0000
Te 0.3804 0.4697 0.9346
Te 0.4938 0.1962 0.3898
Te 0.5062 0.8038 0.3898
Te 0.6196 0.5303 0.9346
Te 0.6296 0.1410 0.0000
Te 0.7500 0.4810 0.5047
Te 0.7500 0.8762 0.5890
Te 0.8704 0.1410 0.0000
Te 0.8804 0.5303 0.9346
Te 0.9938 0.8038 0.3898
Au 0.0000 0.5000 0.4433
Au 0.1257 0.1652 0.9767

I stared at the ceiling of my shitty apartment, wishing I wasn’t here, but knowing I couldn’t be at Becca’s when she got back, I’d come home. This place didn’t seem to fit me anymore. How quickly I’d gotten used to Becca’s, but the truth was, this was where I lived. It was all I’d been able to afford until now. Things would change when I got to college. I had full-ride scholarships, and I intended to work, but I’d also managed to secure student loans for extra living expenses. On the far end of law school, I’d be stuck with debt, but at least I’d be able to get there without three jobs and no sleep.

Uncertainty plagued me, though. Now that I’d asked the question of Becca, the path I’d been so sure of seemed obscured from view. How would we manage? I knew she wouldn’t cheat, and neither would I, but was that fair? To make her put her life on hold?

These materials data were left in the article by mistake =
1.
For Cs3RbH4, the GGA-PBE geometry in Alexandria gives the calculated X-ray powder pattern in this record (Cu Kα X-rays).

```
Cs3RbH4
1.0
6.288 0.000 0.000
0.000 6.288 0.000
0.000 0.000 6.288
Cs Rb H
3 1 4
Direct
0.000 0.000 0.500
0.000 0.500 0.000
0.500 0.000 0.000
0.500 0.500 0.500
0.000 0.000 0.000
0.000 0.500 0.500
0.500 0.000 0.500
0.500 0.500 0.000
```

The 8 most intense peaks (2θ = 15–90°), by angle:
2θ (°), intensity
24.52, 100
28.39, 55
40.58, 41
47.99, 48
50.27, 14
64.61, 20
66.50, 19
79.15, 15

---

2.
For Cs3Rb2H, the GGA-PBE geometry in Alexandria gives the calculated X-ray powder pattern in this record (Cu Kα X-rays).

```
Cs3Rb2H
1.0
11.950 -4.229 0.000
11.950 4.229 0.000
-1.853 0.000 9.232
Cs Rb H
6 4 2
Direct
0.065 0.935 0.750
0.410 0.412 0.455
0.412 0.410 0.955
0.588 0.590 0.045
0.590 0.588 0.545
0.935 0.065 0.250
0.208 0.209 0.104
0.209 0.208 0.604
0.791 0.792 0.396
0.792 0.791 0.896
0.433 0.567 0.750
0.567 0.433 0.250
```

The 8 most intense peaks (2θ = 15–90°), by angle:
2θ (°), intensity
21.01, 46
21.67, 100
22.04, 24
22.91, 80
32.83, 26
39.30, 26
44.37, 27
51.83, 18

---

3.
For CsRbZnHSe, the GGA-PBE geometry in Alexandria gives the calculated X-ray powder pattern in this record (Cu Kα X-rays).

```
CsRbZnHSe
1.0
5.021 0.000 0.000
0.000 6.215 0.000
-2.447 0.000 7.256
Cs Rb Zn H Se
1 1 1 1 1
Direct
0.000 0.000 0.000
0.342 0.500 0.683
0.736 0.000 0.476
0.937 0.500 0.880
0.245 0.000 0.494
```

The 8 most intense peaks (2θ = 15–90°), by angle:
2θ (°), intensity
18.78, 36
23.59, 89
24.54, 30
28.49, 100
28.73, 55
35.77, 31
38.74, 42
46.52, 57

---

4.
For CsRbZnHSe, the GGA-PBE geometry in Alexandria gives the calculated X-ray powder pattern in this record (Cu Kα X-rays).

```
CsRbZnHSe
1.0
5.090 0.000 0.000
0.000 4.575 0.000
-2.204 0.000 7.870
Cs Rb Zn H Se
1 1 1 1 1
Direct
0.000 0.000 0.000
0.697 0.000 0.460
0.256 0.500 0.651
0.001 0.500 0.745
0.159 0.500 0.349
```

The 8 most intense peaks (2θ = 15–90°), by angle:
2θ (°), intensity
18.10, 47
22.48, 42
26.66, 79
26.98, 100
29.95, 75
30.92, 54
34.16, 41
35.30, 44

---

5.
For Cs2RbSiH6, the GGA-PBE geometry in Alexandria gives the calculated X-ray powder pattern in this record (Cu Kα X-rays).

```
Cs2RbSiH6
1.0
5.735 0.000 0.000
0.000 8.551 0.000
0.000 0.000 10.017
Cs Rb Si H
4 2 2 12
Direct
0.250 0.000 0.142
0.250 0.500 0.142
0.750 0.000 0.858
0.750 0.500 0.858
0.250 0.250 0.510
0.750 0.750 0.490
0.250 0.750 0.843
0.750 0.250 0.157
0.046 0.750 0.732
0.051 0.750 0.960
0.250 0.561 0.846
0.250 0.939 0.846
0.449 0.750 0.960
0.454 0.750 0.732
0.546 0.250 0.268
0.551 0.250 0.040
0.750 0.061 0.154
0.750 0.439 0.154
0.949 0.250 0.040
0.954 0.250 0.268
```

The 8 most intense peaks (2θ = 15–90°), by angle:
2θ (°), intensity
17.82, 63
20.64, 39
22.61, 70
23.58, 64
26.70, 52
27.49, 100
31.19, 40
31.63, 79

---

6.
For Cs3Rb4ZnH8, the GGA-PBE geometry in Alexandria gives the calculated X-ray powder pattern in this record (Cu Kα X-rays).

```
Cs3Rb4ZnH8
1.0
7.427 -4.184 0.000
The article goes on =

My chest ached, tight with pain over the inevitability. My desperate reaction to her friends’ teasing shamed me. I wasn’t some controlling asshole, no matter how dominant I could be in bed or how much Becca liked my commanding during sex. I shouldn’t have reacted that way.

My cellphone rang, and I automatically picked it up. Before she’d left, I’d told Becca to call me if she had too much to drink and shouldn’t be driving. I’d take a cab there and drive her home in her car.

“Where are you?” she asked.


“I’m home. You’re not here.”

“I’m at my place.” She’d hit it on the head. My home wasn’t here anymore, either. It was with her. And wasn’t that just one more facet of my problem? Because I had several, and it seemed they were about to be aired tonight.


I shrugged, not that she could see it. “Maybe, I’m tired of being a secret. I came back to my apartment where I can be me. I know you’re ashamed of me. I know that. And I am who I am. I might not have great things or a ton of money, but I’m going places with my life. It’s not fair of you to make me feel less than.”

“Where is this coming from?” she breathed. “I’ve never been ashamed of you or thought you were less. You’re amazing. You inspire people with how hard you’ve grappled to get where you are. I’m proud of you. You know that.”

“I don’t.” I swallowed hard, my heart screaming against what I was about to do. “Maybe, it’s just best to end things now, you know? Like you reminded me, I’m leaving soon. And where did we think things are going? In a month, I’m going to be at least ten hours away. I mean…I guess that would make it easier to keep me a secret. Right? But I don’t want to be a secret anymore. Becca, you… You were always everything to me. Before we even met, but I can’t hide out in your bedroom anymore.”

She protested, but I was already hanging up. Maybe, I hadn’t been such a dumbass before when I’d told her no. Now, I’d only made things worse for both of us by stringing this along. I loved that woman, even if she didn’t know it, but I couldn’t do this to either of us for one more day.

“It’s better for you this way, Becca,” I told my darkened ceiling. “I’ll always love you, but this is better.”

It didn’t feel better, though. It felt like the stupidest thing I’d ever done. But that was my heart speaking, and not my common sense.

Crossing my arms over my chest, I lay there in the dark for a long time, no real thoughts crossing my mind. It was just random blips of nothing. Every time visions of Becca tried to appear, I harshly pushed them away. Soon, the more I pushed, the more they were there.

I groaned, wishing I had a better TV, cable or a video game system so I could lose myself in mindless activity. No such luck. I didn’t even need to study. Instead, my stomach growled, reminding me I hadn’t eaten at Becca’s, and I had no food here.

Forcing myself to my feet, I wandered into my kitchen. Maybe, I had a block of ramen or a granola bar hiding in a cupboard. That would do.

Banging on my door froze me halfway there. That wasn’t a good thing late at night around here. All my lights were off, and I didn’t move, hoping anyone out there would just go away.

“Heller!” an irate female voice bellowed. Jesus, she was pissed.

“What the fuck!” I exclaimed and raced to the door. I whipped it open, dragged her inside then slammed the door, relocking it. “Jesus Christ, Becca! What the hell are you doing? You can’t be out around here in the middle of the night.”

Fuck, a woman like her shouldn’t be out by herself in this neighborhood, ever. Especially not in that dress. Terror chilled me as I realized what could have happened to her because she stomped her little ass over here.

I flipped on the overhead light so she could see how angry I was. “Are you trying to get killed? Worse?”

Not answering, Becca looked around, seeing my apartment for the first time. Apparently, now that she’d gotten me to answer, her anger had drained. Or maybe that was caused by her new view of my reality. Her teeth sank into her lip as she glanced at everything. I followed her gaze, taking in my junk once more. It wasn’t as if it were in a new light to me. I’d always known its status. But right now, it was also dusty from me not being here.

“Don’t you dare pity me,” I said through my teeth. “I could afford more stuff, but I had to set priorities and make choices.” It wasn’t one-hundred percent true, but I had made getting wheels a priority. I was picking up my two-year-old SUV in a couple days.

“I don’t.”

I scoffed. “I can see what you’re thinking.”

Becca glared at me, her hands on her hips, anger returning in a fury. “What I’m thinking is, my boyfriend broke up with me today. What I’m thinking is, I’m not sure how to handle it. I was all in for us, as all in as I could be without getting fired. You know why things were the way they were. But maybe, you didn’t think of all the repercussions. The most important one is, if I get fired, I’ll have to pull a meteorology job someplace else in the country. I know I could get one, but I’ll probably be a lot farther away from you. This secrecy…? I hate it, too, but I’ve been controlling the situation for us.”

“Becca, I don’t need you to control the situation,” I snapped. “I need you to realize that I’m not some kid, playing house. I’m an adult with more adult experience than most people your age. And how are you going to control the situation when I leave for college?”

Her eyes narrowed even more. “I don’t know,” she said, sounding sarcastic. “I’ve been trying to bring that up for weeks, so we can discuss it, but you keep changing the subject or distracting me from it. I’ve been trying to do the grownup thing and get all our cards on the table so decisions can be made.”

I growled, pissed at her choice of the word grownup. I knew it had been deliberate, and it was a low blow. Of course, I’d ended things earlier so she was equally irate.

She also wasn’t wrong. I did make love to Becca to distract her. It had seemed far better than discussing a future where we weren’t together. Maybe if we had talked, I wouldn’t have dived off the deep end and broken up with her tonight.

And here she was, proving we were very bad at breaking up.


Thank God.

“Maybe, I should just leave,” she said, in contrast to my thoughts. She deflated, the fire seeming to go out of her just when I wanted her to fight for us. Now that she was here, we’d deal with this.

I pulled her tight to my chest. “Maybe, you shouldn’t. It’s not safe out there at night.”

“Yeah. Well…I’m pretty sure you don’t want me here.”

“You’re wrong. And I’m pretty sure you came here to prove I was wrong to push you away, too.” I sighed heavily. “And you’re right. I’m scared, okay? And after this moment, I’ll never admit I said that. But the thing is…”

I took another deep breath while Becca looked up at me. Her eyes were tender, expectant, but not angry and hurt like earlier. She leaned in to me, slightly, and her hands made small circles on my chest while she waited for me to continue speaking.

My fingers cupped her face, my thumb brushing along her cheek. I just needed to touch her, reassure her and myself. “The thing is, for a long time, I’ve had dreams for my life. I’ve always known where I was heading and what I’d do with my future. I knew I’d have to work my ass off. There was one path, and I’d grind myself into the ground to go down it. Nothing was stopping me.”

“And then there was me,” she murmured, grimacing. She squared her shoulders and lifted her chin, waiting for the words she didn’t want to hear. Words she thought would push her away.

“And then there was you,” I agreed with a nod. “But not the way you think. You stepped into my path, and you became part of my purpose. You’re not a roadblock or a distraction, Becca. You’re my why. I just haven’t figured out all the hows yet.”

“Is there a how?”

My brow furrowed, disliking her lack of faith that we could make it. Hypocritical since I’d been thinking that an hour ago. We both had to get our crap together if we were going to make this work.

____________
Record 1
Diffraction record for Tb6TmSc2. The powder diffractogram is simulated, not measured: it uses a GGA-PBE-relaxed structure and Cu Kα.
Peak positions follow from Bragg's law for the DFT cell and can differ from measured ones.

Crystal structure
```
data_Tb6TmSc2
_chemical_formula_sum 'Tb24 Tm4 Sc8'
_cell_length_a 5.5100
_cell_length_b 9.5145
_cell_length_c 20.5084
_cell_angle_alpha 90.00
_cell_angle_beta 90.00
_cell_angle_gamma 90.00
_symmetry_space_group_name_H-M 'I b a m'
_symmetry_Int_Tables_number 72
_symmetry_space_group_name_Hall '-I 2 2c'
loop_
_atom_site_label
_atom_site_type_symbol
_atom_site_fract_x
_atom_site_fract_y
_atom_site_fract_z
_atom_site_occupancy
Tb1 Tb 0.0000 0.0000 0.0801 1
Tb2 Tb 0.0076 0.3330 0.1641 1
Tm1 Tm 0.0000 0.0000 0.2500 1
Sc1 Sc 0.0055 0.3332 0.5000 1
```

Most intense lines, 5 to 70 degrees two-theta, sorted by position:
two_theta  I (rel.)  (hkl)
8.6  19  0 0 2
25.5  7  0 2 4
32.2  100  0 2 6
32.6  100  1 3 0
46.5  36  2 2 6
53.6  8  0 0 12
57.8  25  3 1 6
58.0  25  3 3 0
64.2  27  1 3 12
68.2  8  2 6 0

=====

Record 2
Diffraction record for HoW3N6. The powder diffractogram is simulated, not measured: it uses a GGA-PBE-relaxed structure and Cu Kα.
Peak positions follow from Bragg's law for the DFT cell and can differ from measured ones.

Crystal structure
```
data_HoW3N6
_chemical_formula_sum 'Ho2 W6 N12'
_cell_length_a 3.0288
_cell_length_b 8.7117
_cell_length_c 8.7442
_cell_angle_alpha 72.38
_cell_angle_beta 89.51
_cell_angle_gamma 89.54
_symmetry_space_group_name_H-M 'P -1'
_symmetry_Int_Tables_number 2
loop_
_symmetry_equiv_pos_as_xyz
'x,y,z'
'-x,-y,-z'
loop_
_atom_site_label
_atom_site_type_symbol
_atom_site_fract_x
_atom_site_fract_y
_atom_site_fract_z
_atom_site_occupancy
Ho1 Ho 0.2469 0.3056 0.0543 1
W1 W 0.2274 0.9227 0.1671 1
W2 W 0.2552 0.4815 0.6778 1
W3 W 0.2840 0.1468 0.4353 1
N1 N 0.2375 0.9140 0.3910 1
N2 N 0.2424 0.7374 0.7159 1
N3 N 0.2485 0.3879 0.4766 1
N4 N 0.2521 0.5336 0.1528 1
N5 N 0.2549 0.2404 0.7930 1
N6 N 0.2590 0.9093 0.9237 1
```

Most intense lines, 5 to 70 degrees two-theta, sorted by position:
two_theta  I (rel.)  (hkl)
30.7  100  0 1 3
30.8  79  0 3 1
32.3  28  -1 1 1
34.3  45  1 1 -1
34.8  59  0 2 -2
36.2  31  1 2 1
36.6  32  -1 2 1
40.3  26  1 1 -2
59.8  22  0 1 -5
61.2  21  2 0 0

=====

[1]
Computed powder diffraction line list of MgGa4Pt2 for Cu Kα, 1.54184 Å, from DFT lattice parameters and positions (PBE).

Cell: 16.095 4.031 7.514 Å, 90.00 90.00 90.00°
Space group Pnma (No. 62)
Asymmetric unit:
1 Mg 0.149 0.250 0.109 x4
2 Ga 0.032 0.750 0.889 x4
3 Ga 0.067 0.250 0.493 x4
4 Ga 0.182 0.750 0.801 x4
5 Ga 0.194 0.750 0.400 x4
6 Pt 0.048 0.750 0.263 x4
7 Pt 0.226 0.250 0.602 x4

Top 6 peaks for 5° ≤ 2θ ≤ 70°, by angle:
2θ (°), d [Å], Rel. int., hkl
22.09, 4.024, 43, 4 0 0
25.09, 3.549, 100, 4 0 1
____________
[So much for the materials data]

“There’s always a how. Becca, I’m sorry for earlier. I’m not good at… Well, I’ve never been in a relationship. Even in other parts of my life, it’s been me and only me. My default is to soldier on, on my own. I promise I won’t do that to you again. I’m all in for us.”

“Obviously, I’m not any better at it. I started this because of sex, you know? I never imagined it would be more than that. Maybe, we should try to do less sex and more…not sex.”

I shook my head, even before she was finished speaking.

“Fuck that,” I muttered. I picked her up into my arms and carried her to bed. “It’s time for bed, Becca. I’d rather we were at your apartment, and not here, but I’m holding your sweet body to me the rest of the night. We’ll figure out everything else in the morning—after we make love. At your place.”

We weren’t necessarily on the same page, but as I’d said, we could figure it out.

“Heller, we’re not over, right?” she whispered into the dark as we spooned together minutes later. I refused to have sex with her here. In my mind, it wasn’t good enough for her. But that less fucking she’d suggested. Not happening.

“Never. I’m sorry I was a dumbass. I won’t be again. Not about us being together, anyway. I vow to you, baby. I’m committed. We’ll figure things out. And I want to be inside you. And often. But… I don’t want the bulk of our relationship to be in a bed…or even just in your apartment. That has to end.”

I felt her nod, though I barely heard her whispered reply. “Okay.”

My arms tightened. Since we’d just recommitted to the relationship, I didn’t know why I felt unsettled. I had Becca here with me. We were together.

But I still felt as if this were the beginning of the end. Or the start of the battle of my life.